• Entries:
........
# 1
Entry from Alexandria via LeMat-Bulk: a PBEsol-optimized structure of Sb3Pb5 (meta-GGA SCAN).

Lattice parameters (Å, degrees): 7.7769 11.0849 5.4018 90.00 90.00 90.00
Closest atoms and distances in Å follow each position.
Space group Cmmm (No. 65)
One atom of each set of equivalent atoms:
Sb (0.0000, 0.0000, 0.0000) (multiplicity 2)  8 Pb 3.22-3.39
Sb (0.0000, 0.2937, 0.5000) (multiplicity 4)  6 Pb 3.13-3.36
Pb (0.0000, 0.5000, 0.0000) (multiplicity 2)  8 Pb 3.39-3.44, 4 Sb 3.54
Pb (0.2251, 0.0000, 0.5000) (multiplicity 4)  4 Sb 3.13-3.22, 3 Pb 3.44-3.50
Pb (0.2500, 0.2500, 0.0000) (multiplicity 4)  6 Sb 3.36-3.39, 2 Pb 3.39

Values from the calculation:
Energy relative to the lowest polymorph listed for this composition (eV/f.u.): 0.16
Uncorrected formation energy (meV per atom): 71

=====

# 2
Entry from Alexandria via LeMat-Bulk: a PBEsol-optimized structure of Sm2GaAg (meta-GGA SCAN).

Lattice parameters (Å, degrees): 7.2475 7.2475 7.2475 90.00 90.00 90.00
Closest atoms and distances in Å follow each position.
Space group Fm-3m (No. 225)
One atom of each set of equivalent atoms:
Sm (0.2500, 0.2500, 0.2500) (multiplicity 8)  4 Ga 3.14, 4 Ag 3.14
Ga (0.0000, 0.0000, 0.0000) (multiplicity 4)  8 Sm 3.14
Ag (0.0000, 0.0000, 0.5000) (multiplicity 4)  8 Sm 3.14

Values from the calculation:
Energy of formation from the pure elements (eV per atom): -0.5056

=====

# 3
Entry from Alexandria via LeMat-Bulk: a PBEsol-optimized structure of SrZrSe2 (meta-GGA SCAN).

Lattice parameters (Å, degrees): 4.0677 4.0677 5.7283 90.00 90.00 90.00
Closest atoms and distances in Å follow each position.
Space group P4/mmm (No. 123)
One atom of each set of equivalent atoms:
Sr (0.0000, 0.0000, 0.0000) (multiplicity 1)  6 Se 2.86-2.88
Zr (0.5000, 0.5000, 0.5000) (multiplicity 1)  6 Se 2.86-2.88
Se (0.0000, 0.0000, 0.5000) (multiplicity 1)  2 Sr 2.86, 4 Zr 2.88
Se (0.5000, 0.5000, 0.0000) (multiplicity 1)  2 Zr 2.86, 4 Sr 2.88

Values from the calculation:
Energy relative to the lowest polymorph listed for this composition (eV/f.u.): 0.00
Uncorrected formation energy (meV per atom): -1488

=====

# 4
Entry from Alexandria via LeMat-Bulk: a PBEsol-optimized structure of Si2HgSb2 (meta-GGA SCAN).

Lattice parameters (Å, degrees): 5.1398 5.1398 8.6145 90.00 90.00 90.00
Closest atoms and distances in Å follow each position.
Space group I4/mmm (No. 139)
One atom of each set of equivalent atoms:
Si (0.0000, 0.0000, 0.1386) (multiplicity 4)  1 Si 2.39
Hg (0.0000, 0.0000, 0.5000) (multiplicity 2)  2 Si 3.11, 8 Sb 3.35
Sb (0.0000, 0.5000, 0.2500) (multiplicity 4)  4 Si 2.74

Values from the calculation:
Energy relative to the lowest polymorph listed for this composition (eV/f.u.): 0.00
Uncorrected formation energy (meV per atom): 337

=====

| no. | calculated density (g/cm³) | energy (eV per atom) |
| --- | --- | --- |
| 1 | 9.994 | -61.265 |
| 2 | 8.346 | -34.655 |
| 3 | 5.900 | -24.771 |
| 4 | 7.301 | -32.207 |

* * * * *

# 1
Here is Sr2ZrRe after structural relaxation from the Alexandria database. Energies are from GGA-PBE.

Lattice parameters (Å, degrees): 3.414 4.251 18.460 90.00 90.00 90.00
........

• To do:
What is needed: type out the whole of the calculation results earlier on character by character.

• Written answer:
# 1
Entry from Alexandria via LeMat-Bulk: a PBEsol-optimized structure of Sb3Pb5 (meta-GGA SCAN).

Lattice parameters (Å, degrees): 7.7769 11.0849 5.4018 90.00 90.00 90.00
Closest atoms and distances in Å follow each position.
Space group Cmmm (No. 65)
One atom of each set of equivalent atoms:
Sb (0.0000, 0.0000, 0.0000) (multiplicity 2)  8 Pb 3.22-3.39
Sb (0.0000, 0.2937, 0.5000) (multiplicity 4)  6 Pb 3.13-3.36
Pb (0.0000, 0.5000, 0.0000) (multiplicity 2)  8 Pb 3.39-3.44, 4 Sb 3.54
Pb (0.2251, 0.0000, 0.5000) (multiplicity 4)  4 Sb 3.13-3.22, 3 Pb 3.44-3.50
Pb (0.2500, 0.2500, 0.0000) (multiplicity 4)  6 Sb 3.36-3.39, 2 Pb 3.39

Values from the calculation:
Energy relative to the lowest polymorph listed for this composition (eV/f.u.): 0.16
Uncorrected formation energy (meV per atom): 71

=====

# 2
Entry from Alexandria via LeMat-Bulk: a PBEsol-optimized structure of Sm2GaAg (meta-GGA SCAN).

Lattice parameters (Å, degrees): 7.2475 7.2475 7.2475 90.00 90.00 90.00
Closest atoms and distances in Å follow each position.
Space group Fm-3m (No. 225)
One atom of each set of equivalent atoms:
Sm (0.2500, 0.2500, 0.2500) (multiplicity 8)  4 Ga 3.14, 4 Ag 3.14
Ga (0.0000, 0.0000, 0.0000) (multiplicity 4)  8 Sm 3.14
Ag (0.0000, 0.0000, 0.5000) (multiplicity 4)  8 Sm 3.14

Values from the calculation:
Energy of formation from the pure elements (eV per atom): -0.5056

=====

# 3
Entry from Alexandria via LeMat-Bulk: a PBEsol-optimized structure of SrZrSe2 (meta-GGA SCAN).

Lattice parameters (Å, degrees): 4.0677 4.0677 5.7283 90.00 90.00 90.00
Closest atoms and distances in Å follow each position.
Space group P4/mmm (No. 123)
One atom of each set of equivalent atoms:
Sr (0.0000, 0.0000, 0.0000) (multiplicity 1)  6 Se 2.86-2.88
Zr (0.5000, 0.5000, 0.5000) (multiplicity 1)  6 Se 2.86-2.88
Se (0.0000, 0.0000, 0.5000) (multiplicity 1)  2 Sr 2.86, 4 Zr 2.88
Se (0.5000, 0.5000, 0.0000) (multiplicity 1)  2 Zr 2.86, 4 Sr 2.88

Values from the calculation:
Energy relative to the lowest polymorph listed for this composition (eV/f.u.): 0.00
Uncorrected formation energy (meV per atom): -1488

=====

# 4
Entry from Alexandria via LeMat-Bulk: a PBEsol-optimized structure of Si2HgSb2 (meta-GGA SCAN).

Lattice parameters (Å, degrees): 5.1398 5.1398 8.6145 90.00 90.00 90.00
Closest atoms and distances in Å follow each position.
Space group I4/mmm (No. 139)
One atom of each set of equivalent atoms:
Si (0.0000, 0.0000, 0.1386) (multiplicity 4)  1 Si 2.39
Hg (0.0000, 0.0000, 0.5000) (multiplicity 2)  2 Si 3.11, 8 Sb 3.35
Sb (0.0000, 0.5000, 0.2500) (multiplicity 4)  4 Si 2.74

Values from the calculation:
Energy relative to the lowest polymorph listed for this composition (eV/f.u.): 0.00
Uncorrected formation energy (meV per atom): 337

=====

| no. | calculated density (g/cm³) | energy (eV per atom) |
| --- | --- | --- |
| 1 | 9.994 | -61.265 |
| 2 | 8.346 | -34.655 |
| 3 | 5.900 | -24.771 |
| 4 | 7.301 | -32.207 |

* * * * *

# 1
Here is Sr2ZrRe after structural relaxation from the Alexandria database. Energies are from GGA-PBE.

Lattice parameters (Å, degrees): 3.414 4.251 18.460 90.00 90.00 90.00